Ask Andrew Bocarsly about the innovation behind Liquid Light, a New Jersey startup company that turns carbon dioxide into fuels and industrial chemicals, and the Princeton University chemistry professor smiles ruefully. "The project goes back to the early '90s," he said. "But nobody cared about carbon dioxide at that time."
Today, carbon dioxide (CO2) is a hot topic. Scientists around the globe are searching for ways to store, dispose of, or prevent the formation of the greenhouse gas, which is a major driver of global climate change. Liquid Light hopes to take this concept one step further and harness waste CO2 as a source of carbon to make industrial chemicals and fuels.

Liquid Light's core technology involves taking carbon dioxide and mixing it in a water-filled chamber with an electrode and a catalyst to convert carbon dioxide into methanol. (Photo by Denise Applewhite)
The technology behind the process is simple: Take CO2 and mix it in a water-filled chamber with an electrode and a catalyst. The ensuing chemical reaction converts CO2 into a new molecule, methanol, which can be used as a fuel, an industrial solvent or a starting material for the manufacture of other chemicals.
Liquid Light's founders include Bocarsly and his former graduate student Emily Cole, who earned her Ph.D. from Princeton in 2009. Cole helped revive efforts in Bocarsly's lab to study the conversion of CO2 into usable fuels, which led to the launch of Liquid Light and an ongoing collaboration that Bocarsly said has been extremely positive for his research team at the University.
"We've made some discoveries that wouldn't have been made in a university setting, and this has really accelerated the research," Bocarsly said. "It is a very productive relationship."
Back in the 1990s, a former Ph.D. student of Bocarsly's named Chao Lin conducted some of the earliest experiments on turning CO2 into methanol. He used palladium metal as the electrode and pyridinium, an inexpensive ring-shaped molecule, as the catalyst. By plugging the electrode into an electrical outlet, he could drive an electrochemical reaction that converted CO2 into methanol.
As Bocarsly recalled, Lin was quite excited about his success. However, said Bocarsly, "We published that finding in 1994 and there was approximately zero interest in it."
The work languished until 2005 when Cole, then a new graduate student, told Bocarsly she wanted to work on a clean-energy project. She took up the challenge of reproducing Lin's results, but this time using sunlight instead of electricity to drive the reaction.
Cole set up a flask containing a solution of CO2 and a pyridinium catalyst dissolved in water. In place of sunlight, which emits a broad spectrum of wavelengths of light, she shined on the flask a blue light-emitting diode (LED) because it gives off certain wavelengths that are highly efficient at driving the reaction. In the flask she placed an electrode that is activated by particles of light, or photons. "We used a semiconductor electrode that would allow us to substitute light for electricity," said Cole.
In Cole's setup, photons hit a gallium phosphide semiconductor and excite its electrons to travel to the semiconductor's surface and into the surrounding water. The catalyst then shuttles the electrons to the CO2. Those electrons attract hydrogen from the surrounding water to turn CO2 (one carbon and two oxygens) into methanol (one carbon, one oxygen and four hydrogens) with the release of oxygen.
Bocarsly likes to call the process "reverse combustion" because it is like running a burning reaction backwards. Instead of burning fuel and oxygen to produce CO2, the CO2 converts back into fuel and oxygen. This time, when the team published in May 2008 in the Journal of the American Chemical Society, the results generated a lot of interest.

Liquid Light licensed its technology from Princeton. Cole leads a team of chemists who tackle the practical issue of how to scale up a laboratory invention to an industrial scale, while Bocarsly chairs the company's scientific advisory board. (Photo by Denise Applewhite)
Taking the idea into industry
One person who read that paper was Kyle Teamey, an entrepreneur who was representing a venture capital firm that wanted to invest in clean-energy technologies. He was attracted to the idea that waste CO2 could be put to use as a starting material for making fuels and industrial chemicals that could be sold at a profit.
"Everyone had been talking about burying CO2 underground," said Teamey. "Why not instead turn carbon dioxide into something valuable?"
After months of talks with Bocarsly and Cole as well as other advisers, Teamey and Cole co-founded Liquid Light. The company licensed the technology from the University. Teamey serves as company president, while Cole and her team of chemists tackle the practical issue of how to scale up a laboratory invention to an industrial scale. Bocarsly serves as chair of the company's scientific advisory board.
The research has received funding from the Air Force Office of Scientific Research (AFSOR), the National Science Foundation and the Department of Energy (DOE). The collaboration between Liquid Light and the University was supported by the DOE Small Business Innovation Research program and the AFOSR Small Business Technology Transfer program.
Princeton's agreement with Liquid Light allowed the company to continue to collaborate with Bocarsly and his research team. Before long, new discoveries were emerging. "They started noticing interesting chemistry that we wouldn't have predicted," said Bocarsly.
The Princeton scientists did some additional studies, and made a surprising discovery: They could turn CO2, which contains only one carbon, into a compound with a carbon-carbon bond, which vastly increases the possibilities for creating commercial applications. This was radical because although the reaction is certainly possible, it is highly unlikely to happen because so many other competing reactions are occurring.
"Everyone who electrochemically reduces CO2 today makes compounds with only one carbon," said Bocarsly. "Nobody makes things with carbon-carbon bonds." He paused. "But we can."
"That was a very 'wow' moment," recalled Cole, "because we thought that our process could only make methanol. But now we were finding that we could make a variety of products, and that is what makes this technology commercially interesting." She said Liquid Light scientists can now make more than 20 different products from CO2.
One of the chemicals Liquid Light can make is isopropanol, commonly known as rubbing alcohol and an important industrial chemical. Another is butanol, which could be commercially important as a fuel. Liquid Light's technology offers the potential to make these chemicals at lower cost than today's methods, which involve starting with fossil fuels such as petroleum and natural gas.

This photoelectrochemical cell contains a solution of carbon dioxide and pyridinium as a catalyst dissolved in water. A low-power blue light-emitting diode (LED) provides light, which activates the semiconductor, causing the conversion of the CO2 and water to methanol and oxygen with the help of the pyridine catalyst. This cell is highly efficient, with greater than 95 percent of the electrons generated by the illumination going into the formation of methanol. (Image courtesy of Andrew Bocarsly)
Back in the Princeton lab
While Liquid Light is developing the technology commercially, back in the chemistry department at Princeton, Bocarsly and his team are tackling a question that has puzzled the chemist since the 1990s: Why does pyridinium work so well as a catalyst for the reaction? Based on its structure, the ring-shaped molecule is an unlikely catalyst for this reaction because it shuttles just one electron at a time. But to convert CO2 to methanol requires six electrons, and to make higher-carbon molecules takes even more electrons.
Bocarsly and his team — in collaboration with Steven Bernasek, professor of chemistry — are doing studies to understand the steps in the chemical reaction, and they are making rapid progress. "There are clearly some intermediate products formed during the reaction that do not sit around for a long time and are not there in very high concentrations," said Bocarsly.
-- begin --
Compound: MgIn2Si
Source: Alexandria
Functional: GGA-PBE
Structure: optimized geometry

Properties
Energy ... -2.88 eV per atom
Formation energy without anion corrections ... 0.246 eV/atom
Relative energy among the computed polymorphs ... 0.1297 eV per atom

```
data_MgIn2Si
_chemical_formula_sum 'Mg1 In2 Si1'
_cell_length_a 5.053
_cell_length_b 5.053
_cell_length_c 5.053
_cell_angle_alpha 60.00
_cell_angle_beta 60.00
_cell_angle_gamma 60.00
_space_group_name_H-M_alt 'P 1'
_space_group_IT_number 1
_space_group_name_Hall 'P 1'
loop_
_atom_site_label
_atom_site_type_symbol
_atom_site_fract_x
_atom_site_fract_y
_atom_site_fract_z
Mg1 Mg 0.000 0.000 0.000
In1 In 0.250 0.250 0.250
In2 In 0.750 0.750 0.750
Si1 Si 0.500 0.500 0.500
```

Compound: Hf3CrPt12
Source: Alexandria
Functional: GGA-PBE
Structure: optimized geometry

Properties
ΔH_f (0 K) ... -0.896 eV per atom
Energy ... -7.89 eV per atom

```
data_Hf3CrPt12
_chemical_formula_sum 'Hf3 Cr1 Pt12'
_cell_length_a 4.005
_cell_length_b 4.005
_cell_length_c 16.056
_cell_angle_alpha 90.00
_cell_angle_beta 90.00
_cell_angle_gamma 90.00
_space_group_name_H-M_alt 'P 1'
_space_group_IT_number 1
_space_group_name_Hall 'P 1'
loop_
_atom_site_label
_atom_site_type_symbol
_atom_site_fract_x
_atom_site_fract_y
_atom_site_fract_z
Hf1 Hf 0.000 0.000 0.000
Hf2 Hf 0.000 0.000 0.255
Hf3 Hf 0.000 0.000 0.745
Cr1 Cr 0.000 0.000 0.500
Pt1 Pt 0.000 0.500 0.126
Pt2 Pt 0.000 0.500 0.377
Pt3 Pt 0.000 0.500 0.623
Pt4 Pt 0.000 0.500 0.874
Pt5 Pt 0.500 0.000 0.126
Pt6 Pt 0.500 0.000 0.377
Pt7 Pt 0.500 0.000 0.623
Pt8 Pt 0.500 0.000 0.874
Pt9 Pt 0.500 0.500 0.000
Pt10 Pt 0.500 0.500 0.251
Pt11 Pt 0.500 0.500 0.500
Pt12 Pt 0.500 0.500 0.749
```

Compound: CaSbIr2
Source: Alexandria
Functional: GGA-PBE
Structure: optimized geometry

Properties
Energy ... -5.97 eV per atom
Formation energy without anion corrections ... -0.008 eV/atom

```
data_CaSbIr2
_chemical_formula_sum 'Ca1 Sb1 Ir2'
_cell_length_a 3.282
_cell_length_b 4.253
_cell_length_c 5.847
_cell_angle_alpha 90.00
_cell_angle_beta 90.00
_cell_angle_gamma 90.00
_space_group_name_H-M_alt 'P 1'
_space_group_IT_number 1
_space_group_name_Hall 'P 1'
loop_
_atom_site_label
_atom_site_type_symbol
_atom_site_fract_x
_atom_site_fract_y
_atom_site_fract_z
Ca1 Ca 0.000 0.000 0.000
Sb1 Sb 0.500 0.000 0.500
Ir1 Ir 0.500 0.500 0.228
Ir2 Ir 0.500 0.500 0.772
```


## CaOs2Ru2 (PBE)

Data for a geometry-optimized CaOs2Ru2 structure.

SG: P4/mbm (127)
M_tot: 0.000 Bohr magnetons per cell
ΔE_f: 0.21 eV per atom
E: -83.97 eV/cell

a b c (Å): 7.7208 7.7208 2.7435
angles (deg): 90.00 90.00 90.00
With the nearest neighbours (Å) after each atom.
Sites, in units of the cell vectors:
Os1 0.6716 0.8284 0.5000  6 Ru 2.65-2.67, 2 Os 2.74
Ca1 0.5000 0.5000 0.0000  2 Ca 2.74
Ru1 0.3794 0.8794 0.0000  3 Ru 2.63-2.74, 6 Os 2.65-2.67
Ru2 0.6206 0.1206 0.0000  3 Ru 2.63-2.74, 6 Os 2.65-2.67
Os2 0.8284 0.3284 0.5000  6 Ru 2.65-2.67, 2 Os 2.74
Ru3 0.8794 0.6206 0.0000  3 Ru 2.63-2.74, 6 Os 2.65-2.67
-- stop --
The Princeton team also is studying the factors that determine which products can be made from CO2. The researchers have found that very subtle changes in the electrode surface can lead to production of different chemicals. For example, CO2 plus a pyridinium catalyst and a platinum electrode make methanol. However, the same catalyst and a different electrode give a different product. The team published its findings on how the reaction is affected by catalyst concentration, temperature and pressure in the journal ChemSusChem last year.
Meanwhile, scientists at Liquid Light are overcoming the practical hurdles inherent in converting laboratory findings to commercial technologies. One finding is that using sunlight to drive the reaction is not as efficient as using standard electricity from a wall outlet, so the researchers are exploring ways to harness electrical power generated from green technologies such as wind or hydroelectric power.
Citing government statistics that the United States generates about 5.5 billion metric tons of CO2 per year, Teamey said it will not be hard to obtain the starting materials for this new industry. However, the CO2 needs to be relatively pure, a requirement that rules out gasoline tailpipes and coal-fired power plants. Instead, said Teamey, the CO2 could come from manufacturing facilities, such as fertilizer manufacturers and cement plants, which according to Teamey emit some 100 million tons of high-purity CO2 each year.
Cole said her transition from Princeton Ph.D. graduate to startup employee has been a smooth one. "Startups can be very exciting because you are taking work from the academic setting and trying to make it work economically in the marketplace," she said. "It is rewarding because you can see your project from graduate school become an actual technology that impacts people."